Find "SMILES: Cc1ccc(NC(=S)NNC(=O)" and "-0.433" in the rows further down, and write out these two lines and those between, please.

<<<
Here is 2 unconnected molecules or ions with the total composition C2H4NO2 at a distorted geometry from the Open Molecules 2025 dataset. Energies are from ωB97M-V with the def2-TZVPD basis set.

Properties
Total charge: -1
HOMO-LUMO gap (alpha / beta): 6.27 / 6.27 eV
Energy relative to the best compared isomer or geometry (same formula, charge and spin): 168.1 kcal per mole

```
9
Properties=species:S:1:pos:R:3:forces:R:3:mulliken_charge:R:1
C -1.0367 -0.5361 -0.1520 -0.70 -4.24 0.32 -0.174
C -0.2869 0.4670 0.5889 3.97 -1.54 -2.08 -0.378
N 1.8376 0.7170 -0.0204 -0.69 -1.30 0.25 -0.201
O 2.4920 -0.3893 0.0626 0.20 0.38 0.56 -0.542
O -1.1542 0.7713 -0.4372 -1.62 3.36 -2.58 -0.399
H -0.5983 -1.3011 -0.8549 0.16 1.23 0.26 0.151
H -1.9958 -0.9917 0.2098 0.61 0.37 0.21 0.190
H -0.6167 0.6537 1.5187 -1.34 1.05 3.53 0.172
H 1.3590 0.6092 -0.9154 -0.59 0.70 -0.48 0.181
```
Positions in Å, forces in eV/Å.



Here is C14H16ClN5OS in the gas phase from the Open Molecules 2025 dataset. Energies are from ωB97M-V with the def2-TZVPD basis set.

Properties
SMILES: Cc1ccc(NC(=S)NNC(=O)c2nn(C)c(C)c2Cl)cc1
HOMO-LUMO gap: 8.32 eV

```
38
Properties=species:S:1:pos:R:3:forces:R:3:mulliken_charge:R:1
C -2.4153 1.0085 1.8485 -0.07 -0.01 -0.04 -1.680
C -2.1607 0.6192 0.4241 -0.01 0.04 -0.04 0.832
C -1.7243 -0.6563 0.0938 -0.04 0.11 -0.05 -0.433
C -1.4746 -1.0078 -1.2195 -0.22 0.08 -0.19 0.140
C -1.6304 -0.0672 -2.2331 -0.19 0.09 0.56 -0.222
C -2.1164 1.1989 -1.9173 0.01 -0.19 -0.09 -0.650
C -2.3773 1.5315 -0.6035 -0.09 -0.15 0.05 -0.693
H -2.7403 2.5215 -0.3677 -0.03 0.12 0.02 0.385
H -2.2711 1.9210 -2.7057 0.04 0.10 -0.09 0.434
N -1.3242 -0.3682 -3.5702 0.02 0.15 -0.04 -0.153
C -0.3965 -1.2452 -4.0420 0.11 0.20 -0.27 0.002
N 0.7795 -1.4097 -3.3882 0.23 -0.26 0.74 -0.364
N 1.1271 -0.8083 -2.1879 -0.01 0.31 -0.40 0.104
C 1.4984 -1.5618 -1.1103 -0.08 -0.12 -0.50 0.017
O 1.6570 -2.7589 -1.1962 -0.04 -0.13 0.07 -0.659
C 1.6704 -0.7813 0.1297 0.07 0.47 0.69 0.393
N 2.0141 -1.4029 1.2507 0.09 -0.88 -0.44 -0.896
N 2.0260 -0.5051 2.2147 -0.22 0.48 -0.56 0.849
C 1.6923 0.7297 1.7747 -0.12 0.18 -0.45 -0.130
C 1.4541 0.5873 0.4190 0.18 -0.08 0.48 1.162
Cl 0.9991 1.8765 -0.6235 0.10 0.11 0.10 -0.235
C 1.6202 1.9194 2.6553 0.03 -0.06 0.02 -1.755
H 1.3250 2.7872 2.0723 -0.01 0.05 0.01 0.339
H 0.8914 1.7652 3.4507 -0.05 0.07 0.06 0.359
H 2.5879 2.1187 3.1147 0.03 0.08 0.05 0.423
C 2.3743 -0.8858 3.5522 0.12 -0.14 0.46 -0.880
H 1.5511 -0.6794 4.2380 0.02 -0.02 -0.02 0.305
H 2.5817 -1.9534 3.5405 -0.02 0.08 0.00 0.310
H 3.2606 -0.3447 3.8874 -0.02 -0.03 -0.01 0.307
H 0.9848 0.1919 -2.1270 0.12 -0.24 -0.08 0.223
H 1.3408 -2.2160 -3.6374 -0.12 0.23 -0.02 0.292
S -0.5986 -1.9643 -5.5144 -0.10 -0.30 -0.43 -0.425
H -2.0045 -0.0866 -4.2638 0.15 -0.22 0.03 0.296
H -1.1633 -2.0137 -1.4577 0.07 -0.11 -0.06 0.574
H -1.5768 -1.3929 0.8700 0.03 -0.08 0.11 0.365
H -3.4869 1.0846 2.0326 -0.05 0.02 0.11 0.410
H -2.0029 0.2696 2.5311 0.02 -0.02 0.10 0.319
H -1.9717 1.9789 2.0653 0.03 0.06 0.09 0.334
```
Positions in Å, forces in eV/Å.



Here is C3H4O3 in the gas phase at a distorted geometry from the Open Molecules 2025 dataset. Energies are from ωB97M-V with the def2-TZVPD basis set.

Properties
SMILES: O=C/C=C\OO
HOMO-LUMO gap: 9.65 eV
Energy relative to the best compared isomer or geometry (same formula, charge and spin): 118.3 kcal per mole

```
10
Properties=species:S:1:pos:R:3:forces:R:3:mulliken_charge:R:1
O -0.5954 -1.2360 -0.8508 -1.72 1.07 0.32 -0.294
C 0.5070 0.8232 -0.0051 0.04 0.37 0.44 -0.355
C 1.1823 -0.3190 0.6336 0.51 -0.02 -0.19 0.084
O 2.3860 -0.4355 0.6749 -0.25 -0.08 0.05 -0.513
C -0.8266 0.9006 -0.1071 0.65 0.08 0.03 -0.048
O -1.5780 -0.1752 -0.4128 0.95 -1.04 0.16 -0.213
H -1.2642 -1.8489 -1.1705 -0.15 -0.40 -0.21 0.328
H 1.1086 1.7045 -0.1704 -0.04 0.24 0.53 0.344
H 0.5181 -0.9877 1.2226 0.24 0.05 -0.24 0.339
H -1.3932 1.8045 0.1267 -0.22 -0.28 -0.90 0.327
```
Positions in Å, forces in eV/Å.
>>>

SMILES: Cc1ccc(NC(=S)NNC(=O)c2nn(C)c(C)c2Cl)cc1
HOMO-LUMO gap: 8.32 eV

```
38
Properties=species:S:1:pos:R:3:forces:R:3:mulliken_charge:R:1
C -2.4153 1.0085 1.8485 -0.07 -0.01 -0.04 -1.680
C -2.1607 0.6192 0.4241 -0.01 0.04 -0.04 0.832
C -1.7243 -0.6563 0.0938 -0.04 0.11 -0.05 -0.433